[Source]
********
Record 1
112
Properties=species:S:1:pos:R:3:forces:R:3:mulliken_charge:R:1 method="wB97M-V/def2-TZVPD" multiplicity=1 orbital_gap_ev=9.6218
F 6.402231 3.091463 4.820695 0.075 0.099 0.389 -0.34
F -6.150126 -1.179143 -0.002169 -0.302 0.078 0.176 -0.36
F -1.370254 -1.877427 8.417102 0.102 -0.392 0.043 -0.31
F -2.589315 -2.090284 1.643726 0.280 0.251 0.097 -0.08
F 0.564173 3.628502 1.777304 0.194 0.039 -0.289 0.01
O -0.396481 -1.731893 -3.343222 -0.744 -0.021 0.732 0.17
O 3.249936 -3.863765 1.598691 -0.113 0.397 -1.101 -0.48
O 0.385960 2.585542 -5.718941 -0.027 -0.574 0.495 -0.43
O 0.842346 -0.089773 -1.068615 0.597 -0.379 -0.202 -0.55
C -4.475746 -5.544354 0.613599 -0.078 -0.415 -0.830 -0.62
C 3.331472 -2.671829 2.358917 0.001 -0.469 1.384 -0.18
C -5.745638 -2.410030 -1.965117 -0.175 -0.997 -0.164 -0.30
C 4.154199 2.396082 4.576684 -0.163 0.010 0.289 -0.55
C -3.617526 -2.172807 -3.021497 -0.941 -0.373 -1.329 -0.24
C -2.089375 -0.770630 6.486450 0.229 -0.394 -0.323 -0.46
C -0.678135 6.734956 3.172229 0.057 0.013 0.338 -0.53
C 1.066084 3.690461 -5.130575 -0.635 0.781 -0.389 -0.17
C -1.585445 4.202593 2.477841 -0.480 -0.610 0.649 -0.16
C -1.805271 -0.210741 5.246229 0.909 -0.286 0.572 -0.53
C -1.074540 -1.472853 7.168142 -1.059 1.300 -0.091 0.43
C 0.182191 -1.653619 6.656414 0.023 -0.937 -0.472 -0.49
C -4.852496 -2.817123 -2.966435 0.453 0.841 1.004 -0.90
C -0.172663 -0.662973 -0.232515 0.496 1.558 0.690 0.91
C 2.337684 3.909119 -5.940803 0.270 0.561 0.736 -0.54
C -3.013066 -3.743902 0.021695 0.081 0.726 -0.055 -0.16
C 1.044106 2.159809 -6.902770 0.035 0.768 -0.611 -0.14
C -0.130254 -0.789958 -4.404902 0.615 -1.614 0.479 0.03
C -4.534190 -5.121852 1.928904 -0.125 0.074 -0.567 -0.51
C -3.381842 -1.042219 -2.259443 1.905 -1.056 0.022 -0.03
C 5.480292 3.042906 2.684962 -0.262 -0.297 -0.650 -0.58
C -5.371685 -1.442179 -1.058874 0.363 -0.159 -0.452 0.15
C 0.189646 5.814213 2.612870 0.567 -0.203 -0.964 -0.46
C -0.643445 1.623840 -0.686875 0.203 0.539 -1.444 -0.44
C -0.897840 0.572627 0.364496 -0.212 -0.285 -0.785 0.15
C -2.459490 5.109050 3.066965 0.636 0.852 -0.351 -0.58
C 5.337909 2.860603 4.040313 -0.080 -0.070 -0.306 0.54
C -3.151305 -3.260923 1.311906 -0.360 -0.996 -0.048 0.31
C 0.508104 -2.994835 -5.070283 -0.233 -1.006 -0.222 -0.83
C -0.519722 -0.406414 4.734153 -0.807 0.333 -0.921 -0.23
C 3.097981 2.113448 3.726343 -0.909 0.697 -0.479 -0.35
C -4.182091 -0.751031 -1.200629 -1.090 0.959 0.601 -0.18
C 0.126236 -3.034719 -3.577120 1.223 0.899 -0.977 -0.27
C -1.992647 6.386098 3.404956 -0.822 -0.654 -0.008 -0.42
C 3.149630 2.384585 2.355076 1.428 -0.868 0.860 -0.18
C 4.252516 -1.734591 1.634858 0.563 -1.431 -0.299 -0.47
C 2.471341 2.664618 -6.782324 0.775 -0.479 -0.132 -0.56
C 4.396588 2.766434 1.857912 -0.450 -0.099 -0.461 -0.36
C -0.273131 4.560204 2.255582 -0.631 0.432 0.734 0.23
C 3.313408 -3.479284 0.213136 0.671 0.509 -0.100 -0.33
C 0.850919 -1.547182 -5.304715 0.106 0.868 -0.404 -0.58
C 0.797792 1.339123 -1.077914 -0.202 -0.645 0.249 0.04
C -3.859796 -3.965210 2.275321 0.030 0.685 0.381 -0.56
C 0.406638 -1.192956 5.362601 0.403 0.144 -0.003 -0.31
C 3.866924 -2.036925 0.167580 -0.283 1.019 0.815 0.07
C -3.721806 -4.869719 -0.343717 0.201 -0.393 0.605 -0.44
H 4.274692 -0.718112 2.016939 -0.284 0.169 -0.330 0.28
H -0.393729 0.961094 1.252530 -0.312 -0.499 0.380 -0.12
H 5.245328 -2.179184 1.779461 0.106 0.381 0.022 0.31
H 4.545515 2.764241 0.783845 0.003 0.352 0.005 0.41
H -5.053621 -3.638654 -3.638076 -0.230 -0.053 0.095 0.46
H 0.883977 -2.309119 7.155392 0.066 0.216 0.145 0.40
H 0.569333 2.633453 -7.774160 -0.107 -0.091 0.052 0.29
H 1.039639 -3.147443 -2.983827 -0.067 -0.146 0.202 0.05
H 1.196061 3.578163 -4.052128 0.180 -0.566 -0.085 0.09
H -3.099424 -0.763906 6.871980 0.100 0.178 0.319 0.39
H -0.571214 -3.828459 -3.317886 -0.263 0.171 0.028 0.27
H 0.305053 -1.194467 0.594939 -0.056 -0.441 -0.266 0.36
H 2.324831 2.106095 1.722586 -0.008 0.165 -0.151 0.12
H 2.347418 -2.209323 2.535856 -0.034 -0.222 -0.040 -0.04
********

[Activity]
Repeat only the lines further up with the word "mulliken_charge" in them.

[Done]
Properties=species:S:1:pos:R:3:forces:R:3:mulliken_charge:R:1 method="wB97M-V/def2-TZVPD" multiplicity=1 orbital_gap_ev=9.6218